COURSE: VETA 1102 Veterinary Office and Hospital Procedures
CREDIT HOURS (Lecture/Lab/Total): 2/0/2
CONTACT HOUR (Lecture/Lab/Total):30/0/30
Office Hours:
Class Location: online
COURSE DESCRIPTION: This course provides students with the basic understanding of veterinary clinical and hospital operations. Office and managerial duties such as client communication, admitting and discharging patients, scheduling, ordering, and inventory control will be presented. Course content will also focus on teamwork dynamics and compassion fatigue in regards to the veterinary profession. General cleaning and maintenance protocols of various clinical setting will also be presented.
PREREQUISITES: Admission into applicable program. It is recommended that this class be taken with or prior to VETA 1100 Clinical Experience I.
LEARNING OUTCOMES: Students must demonstrate ability to meet the following
technical/performance standards while receiving instruction outlined in each course syllabus:
*read and communicate orally and in writing using the English language
*Hear with or without auditory aids to understand normal speaking voice without viewing the speakers face
*Visually, with or without corrective lenses, observe behaviors of animals and changes in animal’s condition as well as actively participate in the learning process
*Handle animals in a safe and humane manner outline in the courses
*Utilize stamina, strength and psychomotor coordination necessary to perform routine nursing procedures as dictated in all areas of the clinical setting
*Demonstrate use of gross and fine motor skills necessary to provide independent, safe, and effective nursing care of patients
*Solve problems and apply critical thinking skills while providing safe and efficient patient care
*Interact with individuals from various socioeconomic and cultural backgrounds
*Adapt and function in a multi stressor environment while adhering to legal/ethical guidelines of the school, veterinary medical associations, and clinical agencies
ASSESSMENT MEASURES: Upon successful completion of this course, the student will be able to, with a minimum of 70% accuracy.
*schedule appointments, admit, discharge and triage according to client, patient and facility needs through phone and in person contact
*Recognize and respond to veterinary medical emerginces
*create and maintain individual client/patient records, vaccination certificates, and other appropriate forms
*Develop computer skills
*Beable to utilize common management software programs
*Be familiar with veterinary online services
Data records that have nothing to do with the piece >
........
Compound: Cd2PPt
Source: Alexandria
Functional: GGA-PBEsol
Structure: optimized geometry

The volume is 68.2 Å³ per cell. Its formation enthalpy at 0 K is 46 meV/atom.

The structure in POSCAR format:
```
Cd2PPt
1.0
-2.027 2.027 4.151
2.027 -2.027 4.151
2.027 2.027 -4.151
Cd P Pt
2 1 1
Direct
0.250 0.750 0.500
0.750 0.250 0.500
0.000 0.000 0.000
0.500 0.500 0.000
```

Compound: CdP2Pt
Source: Alexandria
Functional: GGA-PBEsol
Structure: optimized geometry

The volume is 79.3 Å³ per cell. Its formation enthalpy at 0 K is -11 meV/atom.

The structure in POSCAR format:
```
CdP2Pt
1.0
3.930 0.000 0.000
0.000 2.006 5.031
0.000 -2.006 5.031
Cd P Pt
1 2 1
Direct
0.000 0.000 0.000
0.500 0.174 0.174
0.500 0.412 0.412
0.500 0.795 0.795
```

Compound: CdP2Pt
Source: Alexandria
Functional: GGA-PBEsol
Structure: optimized geometry

The volume is 64.5 Å³ per cell. Its formation enthalpy at 0 K is 258 meV/atom.

The structure in POSCAR format:
```
CdP2Pt
1.0
-2.422 2.422 2.750
2.422 -2.422 2.750
2.422 2.422 -2.750
Cd P Pt
1 2 1
Direct
0.000 0.000 0.000
0.250 0.750 0.500
0.750 0.250 0.500
0.500 0.500 0.000
```

Compound: Rb2CdP2Se6
Source: Alexandria
Functional: GGA-PBEsol
Structure: optimized geometry

As for the formation energy without anion corrections: -617.0 kJ/mol of formula units. The volume is 632.2 Å³ per cell.

The structure in POSCAR format:
```
Rb2CdP2Se6
1.0
6.615 0.000 0.000
0.000 12.450 0.000
-5.550 0.000 7.677
Rb Cd P Se
4 2 4 12
Direct
0.226 0.180 0.481
0.226 0.320 0.981
0.774 0.680 0.019
0.774 0.820 0.519
0.500 0.000 0.000
0.500 0.500 0.500
0.152 0.541 0.626
0.152 0.959 0.126
0.848 0.041 0.874
0.848 0.459 0.374
0.027 0.074 0.744
0.027 0.426 0.244
0.262 0.683 0.549
0.262 0.817 0.049
0.461 0.075 0.265
0.461 0.425 0.765
0.539 0.575 0.235
0.539 0.925 0.735
0.738 0.183 0.951
0.738 0.317 0.451
0.973 0.574 0.756
0.973 0.926 0.256
```

Compound: CdRe2P
Source: Alexandria
Functional: GGA-PBEsol
Structure: optimized geometry

The volume is 61.0 Å³ per cell. For the energy above the lowest structure with this stoichiometry, the calculation gives 262.8 meV/atom. Its formation enthalpy at 0 K is 400 meV/atom.

The structure in POSCAR format:
```
CdRe2P
1.0
1.480 -2.413 0.000
1.480 2.413 0.000
0.000 0.000 8.537
Cd Re P
1 2 1
Direct
0.000 0.000 0.000
0.500 0.500 0.289
0.500 0.500 0.711
0.000 0.000 0.500
```

Compound: CdRe2P
Source: Alexandria
Functional: GGA-PBEsol
Structure: optimized geometry

The volume is 59.8 Å³ per cell. For the energy above the lowest structure with this stoichiometry, the calculation gives 62.1 meV/atom. Its formation enthalpy at 0 K is 199 meV/atom.

The structure in POSCAR format:
```
CdRe2P
1.0
1.417 0.818 8.592
-1.417 0.818 8.592
0.000 -1.637 8.592
Cd Re P
1 2 1
Direct
0.000 0.000 0.000
0.237 0.237 0.237
0.763 0.763 0.763
0.500 0.500 0.500
```

no.,DOS(E_F) (states/eV/atom),energy (eV/atom)
1,0.41,-3.741
2,0.33,-4.947
3,0.41,-4.678
4,0.00,-4.030
5,0.57,-8.013
6,0.83,-8.214

~~~~~

Run a
........
*Perform basic filing of medical records, radiographs, lab reports, etc.
*Create and maintain all appropriate facility records and logs in compliance with regulatory guidelines
*Manage inventory control
* Recognize roles of appropriate regulatory agencies
Someone pasted records of crystals at this point
┌──
# 1
## CdMo4Os (PBE)

Data for a relaxed CdMo4Os crystal.

a = 5.2144 Å, b = 5.2144 Å, c = 5.2144 Å
α = 60.00°, β = 60.00°, γ = 60.00°
Positions (direct):
1 Cd 0.0000 0.0000 0.0000
2 Mo 0.1217 0.6261 0.6261
3 Mo 0.6261 0.1217 0.6261
4 Mo 0.6261 0.6261 0.1217
5 Mo 0.6261 0.6261 0.6261
6 Os 0.2500 0.2500 0.2500

Calculated values
* space-group type: No. 216
* calculated formation energy: 0.47 eV per atom
* volume: 16.7 A^3/atom



# 2
## CdMoOs (PBE)

Data for a relaxed CdMoOs crystal.

a = 2.9994 Å, b = 2.9994 Å, c = 11.5140 Å
α = 90.00°, β = 90.00°, γ = 90.00°
Positions (direct):
1 Cd 0.0000 0.0000 0.0000
2 Cd 0.5000 0.5000 0.5000
3 Mo 0.0000 0.0000 0.6913
4 Mo 0.5000 0.5000 0.1913
5 Os 0.0000 0.0000 0.3164
6 Os 0.5000 0.5000 0.8164

Calculated values
* space-group type: No. 107
* energy above the lowest structure with this stoichiometry: 0.012 eV per atom
* calculated formation energy: 0.28 eV per atom
* volume: 17.3 A^3/atom



# 3
## CdMoOs (PBE)

Data for a relaxed CdMoOs crystal.

a = 6.1571 Å, b = 6.1571 Å, c = 6.1571 Å
α = 90.00°, β = 90.00°, γ = 90.00°
Positions (direct):
1 Cd 0.0000 0.0000 0.0000
2 Cd 0.0000 0.5000 0.5000
3 Cd 0.5000 0.0000 0.5000
4 Cd 0.5000 0.5000 0.0000
5 Mo 0.0000 0.0000 0.5000
6 Mo 0.0000 0.5000 0.0000
7 Mo 0.5000 0.0000 0.0000
8 Mo 0.5000 0.5000 0.5000
9 Os 0.2500 0.2500 0.7500
10 Os 0.2500 0.7500 0.2500
11 Os 0.7500 0.2500 0.2500
12 Os 0.7500 0.7500 0.7500

Calculated values
* space-group type: No. 216
* energy above the lowest structure with this stoichiometry: 0.513 eV per atom
* calculated formation energy: 0.78 eV per atom
* volume: 19.5 A^3/atom
└──
*Handle routine financial transactions
*apply understanding of interpersonal skills and team dynamics in all aspects of team dynamics
*Utilize appropriate interpersonal and public relations skills
*Demonstrate telepooine etiquette
*Recognize the legality of the veterinary client patient relationshop
*Decision-making abilities
Laws and Ethics
*understand and observe legal boundaries of veterinary health care tema members
*Interact professionally with clients and fellow staff members
*Demonstrate a commitment of high quality patient care
*Respect and protect the confidentiality of clinetn and patient information
TEXTBOOK/S: Front Office Management for the Veterinary Team, 2nd editionHeather Prendergast
Computer with internet access and printing capability
Microsoft Office and Powerpoint
ATTENDANCE POLICY: Class attendance is the responsibility of the student. All students must be officially enrolled in any course that they attend. It is expected that students attend all classes and be on time. If an absence occurs, it is the responsibility of the student for making up examinations, obtaining lecture notes, and otherwise compensating for what may have been missed. Students who stop attending class and do not officially drop, withdraw, or resign from the college may receive a grade of “F” for all coursework missed. Absences affect performance in this course and do not reflect well on participation. No student may substitute the attendance of another student.
GRADING REQUIREMENTS: Your final grade will be determined by your performance through the semester. Grades will be weighted as follows:
Class assignments40%
Final exam25%
A 90-100%
B 80-89%
F 69% or lower
ACADEMIC INTEGRITY AND CONDUCT: Students are expected to maintain the highest standards of academic integrity. Behavior that violates these standards is not acceptable. Plagiarism, cheating, and other forms of academic dishonesty are prohibited and are subject to disciplinary actions established in the Student Code of Conduct. The instructor reserves the right to assign a grade of “F” on any type of assignment or examination based on evidence that the student has violated the Student Code of Conduct.
STUDENT BEHAVIOR/CLASSROOM DECORUM: Students are encouraged to discuss, inquire, and express their thoughts and views during class. Classroom behavior that interferes with either the instructor’s ability to conduct the class or the ability of students to benefit from the instruction is not acceptable. Students are required to turn off all cell phones or similar electronic devices (or place them on silent mode) before coming into the classroom. The instructor reserves the right to assign no credit for work on that day if a student talks or texts on a cell phone or similar electronic device. The classroom is not a place for children, and students are not to bring their family members into the classroom.
DISABILITY CODE: If you are a qualified student with a disability seeking accommodations under the Americans with Disabilities Act, you are required to self-identify with the Student Affairs. No accommodations are granted without documentation authorized from StudentAffairs.
WITHDRAWAL POLICY: The last day to withdraw from a course or resign from the college is ______. If you intend to withdraw from the course or resign from the college, you must initiate the action by logging into LoLA. The instructor will not withdraw you automatically.
COMMUNICATION POLICY: My.NorthshoreCollege.Edu is the official student email communication within Northshore Technical Community College. Therefore, the College has the right to send communications to students via their College email address and the right to expect that those communications will be received and read in a timely fashion. Every student is assigned a My.NorthshoreCollege.Edu. Students can redirect their College email address to an outside email provider. However, the College is not responsible for handling outside email providers, and redirecting their College email address does not absolve a student from their responsibilities associated with communication sent to their official College email address.
# Crystal structures from another source follow
********
! LaMoPb2 (GGA-PBE, relaxed); values from VASP
! Space-group type: R-3m, No. 166
! Energy above the most stable polymorph in this dataset: 132.4 meV per atom
! Crystal system: trigonal
! Calculated density: 10.49 g/cm3
! ΔH_f (0 K): 28 kJ per mole of atoms
! Density of states at the Fermi level: 2.345 states/eV/f.u.
&SYSTEM
  ibrav = 0, nat = 4, ntyp = 3
/
ATOMIC_SPECIES
La 138.91 La.upf
Mo 95.94 Mo.upf
Pb 207.20 Pb.upf
CELL_PARAMETERS angstrom
-7.094 0.706 7.296
-4.284 0.338 9.252
-5.174 3.453 8.085
ATOMIC_POSITIONS angstrom
La -4.138 1.124 6.158
Mo -12.415 3.373 18.475
Pb -0.204 0.055 0.304
Pb -8.072 2.193 12.013

=====

First-principles (GGA-PBEsol) data for an optimized crystal structure of Y3Cu, as listed in Alexandria via LeMat-Bulk.

Cell lengths 3.446, 3.446, 8.600 Å; angles 90.00, 90.00, 90.00 degrees
Element x y z (fractional)
Y (0.000, 0.000, 0.000)
Y (0.500, 0.500, 0.304)
Y (0.500, 0.500, 0.696)
Cu (0.000, 0.000, 0.500)

Properties
Volume in Å³/atom: 25.54
Total magnetic moment in μB per cell: 0.0
E_tot in eV/atom: -6.28
Formation energy from the elements in eV per formula unit: -0.3
D(E_F) in states/eV/cell: 5.67

***

First-principles (GGA-PBEsol) data for an optimized crystal structure of LiMg2C2, as listed in Alexandria via LeMat-Bulk.

Cell lengths 4.134, 4.134, 8.582 Å; angles 90.00, 90.00, 90.00 degrees
Element x y z (fractional)
Li (0.000, 0.000, 0.000)
Li (0.500, 0.500, 0.500)
Mg (0.000, 0.000, 0.323)
Mg (0.000, 0.000, 0.677)
Mg (0.500, 0.500, 0.177)
Mg (0.500, 0.500, 0.823)
C (0.000, 0.500, 0.250)
C (0.000, 0.500, 0.750)
C (0.500, 0.000, 0.250)
C (0.500, 0.000, 0.750)

Properties
Volume in Å³/atom: 14.67
Total magnetic moment in μB per cell: 0.0
E_tot in eV/atom: -3.83
Formation energy from the elements in eV per formula unit: 5.5
D(E_F) in states/eV/cell: 3.78

***

First-principles (GGA-PBEsol) data for an optimized crystal structure of LaMg3N, as listed in Alexandria via LeMat-Bulk.

Cell lengths 4.646, 4.646, 4.646 Å; angles 90.00, 90.00, 90.00 degrees
Element x y z (fractional)
La (0.000, 0.000, 0.000)
Mg (0.000, 0.500, 0.500)
Mg (0.500, 0.000, 0.500)
Mg (0.500, 0.500, 0.000)
N (0.500, 0.500, 0.500)

Properties
Volume in Å³/atom: 20.05
Energy relative to the elements, uncorrected in eV per formula unit: 0.263
Total magnetic moment in μB per cell: 0.0
E_tot in eV/atom: -3.75
D(E_F) in states/eV/cell: 3.27

***

First-principles (GGA-PBEsol) data for an optimized crystal structure of Ca2AlTe, as listed in Alexandria via LeMat-Bulk.

Cell lengths 6.776, 8.452, 3.749 Å; angles 90.00, 90.00, 90.00 degrees
Element x y z (fractional)
Ca (0.250, 0.250, 0.000)
Ca (0.250, 0.750, 0.000)
Ca (0.750, 0.250, 0.000)
Ca (0.750, 0.750, 0.000)
Al (0.000, 0.000, 0.500)
Al (0.500, 0.500, 0.500)
Te (0.000, 0.500, 0.500)
Te (0.500, 0.000, 0.500)

Properties
Volume in Å³/atom: 26.83
Energy relative to the elements, uncorrected in eV per formula unit: -2.560
Total magnetic moment in μB per cell: 0.0
********
# So much for the crystal structures
COPYRIGHT POLICY: Unless a student has obtained permission from the copyright holder, it is a violation of Copyright Law to print or photocopy chapters from a textbook that the student did not purchase. If the course requires the use of an electronic textbook, a student must look for a statement that allows for photocopying and/or printing of the eTextbook.
Note: This syllabus is a contract. Staying in this course signifies your agreement to the contents.